........
# PBE-GGA Sr2LiO12, optimized geometry
data_Sr2LiO12
_cell_length_a 4.9868
_cell_length_b 6.0347
_cell_length_c 8.0816
_cell_angle_alpha 78.38
_cell_angle_beta 72.09
_cell_angle_gamma 69.58
_symmetry_space_group_name_H-M 'P -1'
_symmetry_Int_Tables_number 2
_symmetry_space_group_name_Hall '-P 1'
loop_
_atom_site_label
_atom_site_fract_x
_atom_site_fract_y
_atom_site_fract_z
Sr1 0.1433 0.3409 0.2474
Li1 0.0000 0.0000 0.0000
O1 0.0063 0.7343 0.3960
O2 0.0216 0.0653 0.7059
O3 0.1644 0.6371 0.9618
O4 0.3701 0.5540 0.8133
O5 0.4429 0.9738 0.9448
O6 0.4965 0.9069 0.5518
# Size of the total moment in μB/atom: 0.200
# Energy above the most stable polymorph in this dataset in kJ/mol of formula units: 31
# ΔE_f in eV/atom: -1.008


# Li2V2P4H6O17

An optimized crystal structure of Li2V2P4H6O17 (PBE with a Hubbard U, Materials Project).

Properties
Crystal system: triclinic
E_form: -2.29 eV per atom
Energy: -6.585 eV/atom
Calculated volume: 10.613 Å³/atom

abc: 8.928 9.133 9.334
angles: 118.14 89.91 100.06
Positions (direct):
O  0.957  0.737  0.420
O  0.990  0.770  0.128
P  0.574  0.306  0.548
O  0.742  0.563  0.071
H  0.117  0.602  0.605
H  0.651  0.887  0.504
O  0.555  0.266  0.082
H  0.944  0.405  0.239
O  0.148  0.638  0.718
O  0.967  0.075  0.275
Li  0.756  0.108  0.202
O  0.656  0.999  0.908
O  0.819  0.981  0.591
O  0.852  0.362  0.282
P  0.895  0.838  0.584
O  0.918  0.513  0.844
H  0.703  0.441  0.985
H  0.568  0.889  0.285
P  0.589  0.142  0.910
H  0.883  0.398  0.395
O  0.217  0.234  0.049
P  0.411  0.858  0.090
O  0.306  0.750  0.151
H  0.056  0.595  0.761
V  0.373  0.264  0.220
O  0.181  0.019  0.409
O  0.567  0.937  0.208
Li  0.682  0.482  0.268
O  0.435  0.520  0.307
H  0.027  0.051  0.798
H  0.297  0.559  0.015
O  0.010  0.230  0.872
O  0.445  0.177  0.576
O  0.460  0.709  0.619
O  0.273  0.749  0.453
P  0.426  0.694  0.452
Li  0.244  0.892  0.798
O  0.082  0.487  0.156
O  0.033  0.925  0.725
O  0.779  0.709  0.610
P  0.859  0.651  0.992
V  0.627  0.736  0.780
O  0.565  0.480  0.693
O  0.344  0.001  0.092
O  0.258  0.437  0.929
V  0.131  0.753  0.290
O  0.043  0.263  0.580
H  0.349  0.113  0.496
O  0.221  0.291  0.390
Li  0.318  0.518  0.732
O  0.433  0.063  0.792
O  0.783  0.766  0.951
H  0.432  0.111  0.715
V  0.869  0.247  0.710
P  0.141  0.349  0.008
O  0.445  0.734  0.918
O  0.555  0.823  0.424
P  0.105  0.162  0.416
O  0.727  0.251  0.547
H  0.973  0.949  0.202
O  0.694  0.250  0.849
O  0.540  0.291  0.381

=====

# NiAs2S6O12F12

An optimized crystal structure of NiAs2S6O12F12 (PBE with a Hubbard U, Materials Project).

Properties
Crystal system: monoclinic
E_form: -1.94 eV per atom
Energy: -5.154 eV/atom
Calculated volume: 16.913 Å³/atom

abc: 8.950 8.093 15.432
angles: 87.04 90.00 90.00
Positions (direct):
S  0.506  0.297  0.342
F  0.420  0.228  0.755
F  0.815  0.243  0.309
O  0.666  0.080  0.583
F  0.006  0.525  0.667
F  0.580  0.772  0.245
S  0.006  0.703  0.158
F  0.494  0.525  0.167
F  0.676  0.726  0.094
O  0.834  0.080  0.083
O  0.684  0.602  0.423
As  0.004  0.741  0.642
F  0.080  0.228  0.255
F  0.088  0.711  0.540
F  0.994  0.475  0.333
O  0.668  0.381  0.604
O  0.832  0.381  0.104
O  0.981  0.224  0.931
S  0.494  0.703  0.658
O  0.536  0.813  0.724
S  0.744  0.759  0.905
O  0.166  0.920  0.917
F  0.324  0.274  0.906
Ni  0.000  0.000  0.000
F  0.315  0.757  0.191
O  0.036  0.187  0.776
S  0.258  0.776  0.384
S  0.242  0.776  0.884
F  0.912  0.289  0.460
S  0.994  0.297  0.842
As  0.496  0.741  0.142
F  0.920  0.772  0.745
O  0.826  0.908  0.928
O  0.964  0.813  0.224
S  0.758  0.224  0.116
O  0.519  0.224  0.431
S  0.244  0.241  0.595
S  0.256  0.241  0.095
S  0.756  0.759  0.405
F  0.685  0.243  0.809
O  0.674  0.908  0.428
F  0.003  0.957  0.619
O  0.019  0.776  0.069
F  0.506  0.475  0.833
F  0.185  0.757  0.691
O  0.332  0.619  0.396
F  0.503  0.043  0.881
F  0.824  0.726  0.594
O  0.334  0.920  0.417
O  0.316  0.398  0.577
O  0.464  0.187  0.276
As  0.504  0.259  0.858
O  0.326  0.092  0.572
........
The reader should search the material earlier on for the word "moment" and retype each line that has it.
# Size of the total moment in μB/atom: 0.200